• Work order:
Now type out the whole of the calculation results underneath word for word.

• Listing:
........
1.
This entry pairs a crystal structure of CaCo2Si4O12 with its calculated powder diffraction line list. Radiation: copper Kα. Structure: a crystal structure in Alexandria, relaxed with PBE+U.
Peak positions follow from Bragg's law for the DFT cell and can differ from measured ones.

Largest 8 diffraction maxima, sorted by position, 2θ = 10–90°:
2θ (°), I_rel
13.80, 61.7
19.97, 53.0
29.72, 100.0
30.57, 51.0
34.98, 26.4
35.33, 35.9
36.03, 40.6
40.79, 20.0

Cell lengths 6.5861, 6.5861, 5.3201 Å; angles 102.66, 102.66, 84.75 degrees
Fractional positions:
1 Ca 0.0000 0.0000 0.0000
2 Co 0.5882 0.4118 0.0000
3 Co 0.7898 0.2102 0.5000
4 Si 0.0816 0.5006 0.9803
5 Si 0.3207 0.0987 0.5265
6 Si 0.4994 0.9184 0.0197
7 Si 0.9013 0.6793 0.4735
8 O 0.0380 0.6710 0.2454
9 O 0.0544 0.6463 0.7572
10 O 0.0811 0.1864 0.4420
11 O 0.3111 0.3920 0.0373
12 O 0.3290 0.9620 0.7546
13 O 0.3537 0.9456 0.2428
14 O 0.5134 0.2586 0.6228
15 O 0.6080 0.6889 0.9627
16 O 0.6705 0.1018 0.1119
17 O 0.7414 0.4866 0.3772
18 O 0.8136 0.9189 0.5580
19 O 0.8982 0.3295 0.8881

---

2.
This entry pairs a crystal structure of RbV2SeO7 with its calculated powder diffraction line list. Radiation: copper Kα. Structure: a crystal structure in Alexandria, relaxed with PBE+U.
Peak positions follow from Bragg's law for the DFT cell and can differ from measured ones.

Largest 8 diffraction maxima, sorted by position, 2θ = 10–90°:
2θ (°), I_rel
22.30, 65.9
24.56, 100.0
26.58, 49.2
27.56, 54.6
31.17, 94.9
32.32, 49.0
42.31, 31.2
45.50, 31.6

Cell lengths 19.2044, 5.5402, 7.1582 Å; angles 90.00, 90.00, 90.00 degrees
Fractional positions:
1 Rb 0.0274 0.2500 0.2489
2 Rb 0.4726 0.7500 0.7489
3 Rb 0.5274 0.2500 0.2511
4 Rb 0.9726 0.7500 0.7511
5 V 0.1258 0.2500 0.7580
6 V 0.1907 0.7500 0.0469
7 V 0.3093 0.2500 0.5469
8 V 0.3742 0.7500 0.2580
9 V 0.6258 0.2500 0.7420
10 V 0.6907 0.7500 0.4531
11 V 0.8093 0.2500 0.9531
12 V 0.8742 0.7500 0.2420
13 Se 0.1533 0.7500 0.5075
14 Se 0.3467 0.2500 0.0075
15 Se 0.6533 0.7500 0.9925
16 Se 0.8467 0.2500 0.4925
17 O 0.0463 0.2500 0.8502
18 O 0.0998 0.5121 0.5612
19 O 0.0998 0.9879 0.5612
20 O 0.1360 0.7500 0.2618
21 O 0.1704 0.0026 0.9196
22 O 0.1704 0.4974 0.9196
23 O 0.2241 0.2500 0.6075
24 O 0.2759 0.7500 0.1075
25 O 0.3296 0.5026 0.4196
26 O 0.3296 0.9974 0.4196
27 O 0.3640 0.2500 0.7618
28 O 0.4002 0.0121 0.0612
29 O 0.4002 0.4879 0.0612
30 O 0.4537 0.7500 0.3502
31 O 0.5463 0.2500 0.6498
32 O 0.5998 0.5121 0.9388
33 O 0.5998 0.9879 0.9388
34 O 0.6360 0.7500 0.2382
35 O 0.6704 0.0026 0.5804
36 O 0.6704 0.4974 0.5804
37 O 0.7241 0.2500 0.8925
38 O 0.7759 0.7500 0.3925
39 O 0.8296 0.5026 0.0804
40 O 0.8296 0.9974 0.0804
41 O 0.8640 0.2500 0.7382
42 O 0.9002 0.0121 0.4388
43 O 0.9002 0.4879 0.4388
44 O 0.9537 0.7500 0.1498


Calculated powder diffractogram
Compound: CeSmBr
Radiation: Cu Kα (weighted mean of Kα1 and Kα2)
Structure: a PBE-relaxed structure
Peak positions follow from Bragg's law for the DFT cell and can differ from measured ones.

Atomic structure:
```
data_CeSmBr
_cell_length_a 14.145
_cell_length_b 3.623
_cell_length_c 6.902
_cell_angle_alpha 90.00
_cell_angle_beta 90.49
_cell_angle_gamma 90.00
_space_group_name_H-M_alt 'C 1 2/m 1'
_space_group_IT_number 12
_space_group_name_Hall '-C 2y'
loop_
_atom_site_label
_atom_site_type_symbol
_atom_site_fract_x
_atom_site_fract_y
_atom_site_fract_z
Ce1 Ce 0.194 0.000 0.077
Sm1 Sm 0.147 0.000 0.598
Br1 Br 0.039 0.500 0.262
```

Peak list (10 most intense, 10° ≤ 2θ ≤ 90°, by intensity)
Position (°2θ)	I (rel.)	(hkl)
31.13	1000	3 1 0
36.48	911	1 1 -2
28.88	720	2 0 2
59.79	252	1 1 4
36.22	239	4 0 -2
12.52	224	2 0 0
59.11	189	2 2 2
28.26	182	4 0 -1
50.37	172	0 2 0
48.77	172	5 1 2


Entry 1:
Calculated powder diffraction line list of Pu6H7S for Cu Kα, 1.54184 Å, from DFT lattice parameters and positions (GGA-PBE).
Intensities are scaled so that the largest is 100.

The 10 most intense peaks (10 to 80 degrees two-theta), low angle first:
........

• Done:
1.
This entry pairs a crystal structure of CaCo2Si4O12 with its calculated powder diffraction line list. Radiation: copper Kα. Structure: a crystal structure in Alexandria, relaxed with PBE+U.
Peak positions follow from Bragg's law for the DFT cell and can differ from measured ones.

Largest 8 diffraction maxima, sorted by position, 2θ = 10–90°:
2θ (°), I_rel
13.80, 61.7
19.97, 53.0
29.72, 100.0
30.57, 51.0
34.98, 26.4
35.33, 35.9
36.03, 40.6
40.79, 20.0

Cell lengths 6.5861, 6.5861, 5.3201 Å; angles 102.66, 102.66, 84.75 degrees
Fractional positions:
1 Ca 0.0000 0.0000 0.0000
2 Co 0.5882 0.4118 0.0000
3 Co 0.7898 0.2102 0.5000
4 Si 0.0816 0.5006 0.9803
5 Si 0.3207 0.0987 0.5265
6 Si 0.4994 0.9184 0.0197
7 Si 0.9013 0.6793 0.4735
8 O 0.0380 0.6710 0.2454
9 O 0.0544 0.6463 0.7572
10 O 0.0811 0.1864 0.4420
11 O 0.3111 0.3920 0.0373
12 O 0.3290 0.9620 0.7546
13 O 0.3537 0.9456 0.2428
14 O 0.5134 0.2586 0.6228
15 O 0.6080 0.6889 0.9627
16 O 0.6705 0.1018 0.1119
17 O 0.7414 0.4866 0.3772
18 O 0.8136 0.9189 0.5580
19 O 0.8982 0.3295 0.8881

---

2.
This entry pairs a crystal structure of RbV2SeO7 with its calculated powder diffraction line list. Radiation: copper Kα. Structure: a crystal structure in Alexandria, relaxed with PBE+U.
Peak positions follow from Bragg's law for the DFT cell and can differ from measured ones.

Largest 8 diffraction maxima, sorted by position, 2θ = 10–90°:
2θ (°), I_rel
22.30, 65.9
24.56, 100.0
26.58, 49.2
27.56, 54.6
31.17, 94.9
32.32, 49.0
42.31, 31.2
45.50, 31.6

Cell lengths 19.2044, 5.5402, 7.1582 Å; angles 90.00, 90.00, 90.00 degrees
Fractional positions:
1 Rb 0.0274 0.2500 0.2489
2 Rb 0.4726 0.7500 0.7489
3 Rb 0.5274 0.2500 0.2511
4 Rb 0.9726 0.7500 0.7511
5 V 0.1258 0.2500 0.7580
6 V 0.1907 0.7500 0.0469
7 V 0.3093 0.2500 0.5469
8 V 0.3742 0.7500 0.2580
9 V 0.6258 0.2500 0.7420
10 V 0.6907 0.7500 0.4531
11 V 0.8093 0.2500 0.9531
12 V 0.8742 0.7500 0.2420
13 Se 0.1533 0.7500 0.5075
14 Se 0.3467 0.2500 0.0075
15 Se 0.6533 0.7500 0.9925
16 Se 0.8467 0.2500 0.4925
17 O 0.0463 0.2500 0.8502
18 O 0.0998 0.5121 0.5612
19 O 0.0998 0.9879 0.5612
20 O 0.1360 0.7500 0.2618
21 O 0.1704 0.0026 0.9196
22 O 0.1704 0.4974 0.9196
23 O 0.2241 0.2500 0.6075
24 O 0.2759 0.7500 0.1075
25 O 0.3296 0.5026 0.4196
26 O 0.3296 0.9974 0.4196
27 O 0.3640 0.2500 0.7618
28 O 0.4002 0.0121 0.0612
29 O 0.4002 0.4879 0.0612
30 O 0.4537 0.7500 0.3502
31 O 0.5463 0.2500 0.6498
32 O 0.5998 0.5121 0.9388
33 O 0.5998 0.9879 0.9388
34 O 0.6360 0.7500 0.2382
35 O 0.6704 0.0026 0.5804
36 O 0.6704 0.4974 0.5804
37 O 0.7241 0.2500 0.8925
38 O 0.7759 0.7500 0.3925
39 O 0.8296 0.5026 0.0804
40 O 0.8296 0.9974 0.0804
41 O 0.8640 0.2500 0.7382
42 O 0.9002 0.0121 0.4388
43 O 0.9002 0.4879 0.4388
44 O 0.9537 0.7500 0.1498


Calculated powder diffractogram
Compound: CeSmBr
Radiation: Cu Kα (weighted mean of Kα1 and Kα2)
Structure: a PBE-relaxed structure
Peak positions follow from Bragg's law for the DFT cell and can differ from measured ones.

Atomic structure:
```
data_CeSmBr
_cell_length_a 14.145
_cell_length_b 3.623
_cell_length_c 6.902
_cell_angle_alpha 90.00
_cell_angle_beta 90.49
_cell_angle_gamma 90.00
_space_group_name_H-M_alt 'C 1 2/m 1'
_space_group_IT_number 12
_space_group_name_Hall '-C 2y'
loop_
_atom_site_label
_atom_site_type_symbol
_atom_site_fract_x
_atom_site_fract_y
_atom_site_fract_z
Ce1 Ce 0.194 0.000 0.077
Sm1 Sm 0.147 0.000 0.598
Br1 Br 0.039 0.500 0.262
```

Peak list (10 most intense, 10° ≤ 2θ ≤ 90°, by intensity)
Position (°2θ)	I (rel.)	(hkl)
31.13	1000	3 1 0
36.48	911	1 1 -2
28.88	720	2 0 2
59.79	252	1 1 4
36.22	239	4 0 -2
12.52	224	2 0 0
59.11	189	2 2 2
28.26	182	4 0 -1
50.37	172	0 2 0
48.77	172	5 1 2


Entry 1:
Calculated powder diffraction line list of Pu6H7S for Cu Kα, 1.54184 Å, from DFT lattice parameters and positions (GGA-PBE).
Intensities are scaled so that the largest is 100.

The 10 most intense peaks (10 to 80 degrees two-theta), low angle first: